Part 13 (1/2)

”But you were still in love with her, weren't you?”

Walker shook his head. ”No. For a long time, I was: so long that I got attached to the idea, comfortable with it. I was always going to be this guy whose best shot at having a life was already over. I was so sure of it that I got out of the habit of checking to see if it was still true until you came along and forced me to think about every second that I had ever spent with her. Over the past few days, I did it. I slowly realized that I didn't feel the same about our time together anymore. When I remembered it, I still thought the same things about her. I just didn't feel them anymore. She was everything I ever imagined she was-smart, funny, brave, good-but now it had nothing to do with me.” He frowned. ”Do you understand?”

”I do,” said Stillman. ”You knew she was a decent person, and she was worth your effort to try to save her. So what's keeping you from quitting now?”

Walker took another sip of his drink. ”I was just on the edge of figuring that out when you came in,” said Walker, and looked at the gla.s.s. ”The problem with this stuff is that just at the moment when it's managed to dissolve enough of the fog, whatever's left in your stomach hits your bloodstream and you get stupid. But I think it has something to do with what I've been doing for the last couple of years, and what she has.”

”McClaren's?” Stillman looked suspicious. ”You're suddenly interested in whether the company shows a profit on this year's annual report?”

”That's the funny part,” said Walker. ”I'm not interested at all. It hasn't crossed my mind since we were in Pasadena.”

”Then what do you mean?”

”I meant how I was spending my life before that. I was trying to be the perfect employee. I had convinced myself that if I was going to be a solid, serious person, that was the way to do it. If I worked really hard to fit into the cubicle, then in time I would be the kind of man my family would be proud of. Steady, reliable. That meant something.” He smiled. ”I tried pretty hard. I went to work, came straight home-sometimes walked home to keep in shape, ate a frozen dinner, watched the news on TV, and went to bed so I could do it all over again.”

”How does she come in?”

Walker answered, ”She was making the same choice, only she was better at it. We were delayed-gratification pleasure seekers. The longer you put it off, the better it will be.” He c.o.c.ked his head and stared at Stillman for a second, then returned to his drink. He took a gulp, waited for the little explosion in his stomach to reverberate upward and warm his brain. ”It didn't quite sink in until I saw her there with strangers brus.h.i.+ng the dirt off her face.”

”What was it that sank in?”

”That she and I might have read the instructions wrong.”

”Her, anyway,” Stillman agreed.

”Me too,” said Walker. ”There she was. And I asked myself what she could have done that would have avoided heading for that hole. And you know what?”

The entry is interrupted by records of crystals
........
An optimized crystal structure of PmDy2Ge. Source: Alexandria via LeMat-Bulk, functional PBE.

Lattice parameters (Å, degrees): 4.7120 4.7120 4.6939 90.00 90.00 90.00
Last column: nearest neighbours and their distance in Å.
Sites, in units of the cell vectors:
Pm (0.0000, 0.0000, 0.0000)  8 Dy 3.33, 4 Ge 3.33
Dy (0.0000, 0.5000, 0.5000)  4 Ge 3.33, 4 Pm 3.33, 4 Dy 3.33
Dy (0.5000, 0.0000, 0.5000)  4 Ge 3.33, 4 Pm 3.33, 4 Dy 3.33
Ge (0.5000, 0.5000, 0.0000)  8 Dy 3.33, 4 Pm 3.33

Computed properties:
As for the symmetry: No. 123. The formation energy is -0.327 eV/atom. As for the final energy: -0.1827 Ha/atom. The mass density is 8.65 g/cm³. The calculation puts the energy above the most stable polymorph in this dataset at 0.47 eV per formula unit.
........


”The answer wasn't spending more hours and more energy selling insurance.”

[The article is interrupted by calculated crystals]
/*
Co3Au | Alexandria | PBE-GGA | optimized geometry; DFT formation energy = 222 meV per atom; space group = P-6m2
1.0
2.667 0.000 0.000
-1.333 2.309 0.000
0.000 0.000 8.467
Co Au
3 1
direct
0.000 0.000 0.500 Co
0.333 0.667 0.723 Co
0.333 0.667 0.277 Co
0.000 0.000 0.000 Au


SrIn2Rh | Alexandria | PBE-GGA | optimized geometry; DFT formation energy = -115 meV per atom; space group = P4/mmm
1.0
4.399 0.000 0.000
0.000 4.399 0.000
0.000 0.000 4.969
In Rh Sr
2 1 1
direct
0.000 0.000 0.000 In
0.500 0.500 0.000 In
0.500 0.000 0.500 Rh
0.000 0.500 0.500 Sr


NaLaMg2Ir | Alexandria | PBE-GGA | optimized geometry; DFT formation energy = -242 meV per atom; space group = P4/mmm
1.0
-4.311 -0.887 2.877
2.187 -4.376 1.929
2.112 2.837 4.040
Na La Mg Ir
1 1 2 1
direct
0.500 0.500 0.500 Na
0.000 0.000 0.500 La
0.500 0.000 0.000 Mg
0.000 0.500 0.000 Mg
0.000 0.000 0.000 Ir


no.,M_tot (μB/f.u.),final energy (eV for the cell shown)
1,4.93,-23.7
2,0.00,-15.0
3,0.00,-19.5

=====

# 1
## Cs2VI4Br2 (PBE)

Data for a relaxed Cs2VI4Br2 crystal.

```
data_Cs2VI4Br2
_cell_length_a 8.041
_cell_length_b 8.041
_cell_length_c 6.872
_cell_angle_alpha 96.36
_cell_angle_beta 96.36
_cell_angle_gamma 60.85
_symmetry_space_group_name_H-M 'P 1'
_symmetry_Int_Tables_number 1
_symmetry_space_group_name_Hall 'P 1'
loop_
_atom_site_label
_atom_site_fract_x
_atom_site_fract_y
_atom_site_fract_z
Cs1 0.155 0.155 0.275
Cs2 0.845 0.845 0.725
V1 0.500 0.500 0.500
I1 0.166 0.646 0.259
I2 0.354 0.834 0.741
I3 0.646 0.166 0.259
I4 0.834 0.354 0.741
Br1 0.366 0.366 0.700
Br2 0.634 0.634 0.300
```

Summary:
- final energy (eV for the cell shown) = -29.40
- DOS at the Fermi energy (states/eV/atom) = 0.791
- SG = C2/m
- volume (A^3/atom) = 42.76
- raw formation energy (eV/atom) = -1.0028

# 2
## Cs2VI2Br4 (PBE)

Data for a relaxed Cs2VI2Br4 crystal.

```
data_Cs2VI2Br4
_cell_length_a 7.939
_cell_length_b 7.939
_cell_length_c 7.939
_cell_angle_alpha 119.09
_cell_angle_beta 119.09
_cell_angle_gamma 91.58
_symmetry_space_group_name_H-M 'P 1'
_symmetry_Int_Tables_number 1
_symmetry_space_group_name_Hall 'P 1'
loop_
_atom_site_label
_atom_site_fract_x
_atom_site_fract_y
_atom_site_fract_z
Cs1 0.250 0.750 0.500
Cs2 0.750 0.250 0.500
V1 0.000 0.000 0.000
I1 0.250 0.250 0.000
I2 0.750 0.750 0.000
Br1 0.219 0.219 0.439
Br2 0.219 0.781 0.000
Br3 0.781 0.219 0.000
Br4 0.781 0.781 0.561
```

Summary:
- final energy (eV for the cell shown) = -30.91
- DOS at the Fermi energy (states/eV/atom) = 0.792
- SG = I4/mmm
- volume (A^3/atom) = 39.84
- raw formation energy (eV/atom) = -1.1436

# 3
## CsVI2Br (PBE)

Data for a relaxed CsVI2Br crystal.

```
data_CsVI2Br
_cell_length_a 5.810
_cell_length_b 5.810
_cell_length_c 5.378
_cell_angle_alpha 90.00
_cell_angle_beta 90.00
_cell_angle_gamma 90.00
_symmetry_space_group_name_H-M 'P 1'
_symmetry_Int_Tables_number 1
_symmetry_space_group_name_Hall 'P 1'
loop_
_atom_site_label
_atom_site_fract_x
_atom_site_fract_y
_atom_site_fract_z
Cs1 0.000 0.000 0.000
V1 0.500 0.500 0.500
*/
[So much for the calculated crystals]

Stillman sipped his drink. ”What happened to her is not a bad argument for life insurance.”

”True,” said Walker. ”But it's not such a good argument for trading anything important to get ahead.” He frowned. ”What was it you said? 'For twenty-four-year-olds who can't wait to be sixty so they can move into the corner office.'”

”What else did you figure out?” asked Stillman.

”Nothing. I unfigured. I found out that some things I'd already figured out needed some work.”

”How about an example?”

”Murder. There's something about seeing the way it looks-turning a person into a secret, dropping her into a hole after dark and hiding even the hole. Her face looked calm, composed. Maybe she died gently. But I know that somehow, even if it was for a tenth of a second, even if she never got to say it, some remnant of her brain was thinking, 'Please. Not yet. Let me have another day, another few minutes.' They didn't.” He took the last quarter inch of his drink. ”I always thought people like that ought to be hunted down. It never occurred to me that the one who ought to do it might be me.”


Walker awoke, showered, and dressed, then went to the next room to knock on Stillman's door. He found Stillman on the bed with file folders from the Pasadena office spread around him and the telephone in his hand. Walker went to the only chair in the room and sat down.

Stillman was saying, ”Yeah, so get it to me. Hard is just another way of saying expensive, and I already threw myself on your mercy. Call me here at the hotel before you send anything.”

He hung up, then dialed another number. ”You might as well get some breakfast. This is going to take a while.”

Walker found that the dining room was closed until dinner, so he wandered down the street past the police station until he got to a diner. When he returned to Stillman's room, Stillman was talking in the same tone. ”What is it with everybody today? Here's how it works: you do what I ask, you send me the bill, and then I I complain. You don't get to bill me and complain too. You think you're mentioned in my will and I'm depleting the estate? Good guess. I'll be waiting.” He hung up. complain. You don't get to bill me and complain too. You think you're mentioned in my will and I'm depleting the estate? Good guess. I'll be waiting.” He hung up.

”You finished?” asked Walker.

”Unless I can think of somebody who can do something else for us. I like to get people working on my problems early in the morning, when they're fresh.”

”What are they doing for you?”

”That one's running hourly credit checks on these two guys-Albert Mayer and Richard Stone. They're the ones who kept turning up at the same hotels as Ellen Snyder.”

”Won't they stop using those names now?”

”You never know,” said Stillman. ”They have no reason to a.s.sume that anyone was following them, just Ellen Snyder. If they're smart, they won't take the chance-or any other chance. I'm just trying to get something that will move us to the next set of names they use. I've got somebody else spreading the word that I'm paying for a man who looks like Alan Werfel.”

”I don't think there is a man like that,” said Walker.

Stillman looked intrigued. ”You don't?”

”No. It came to me when I woke up. If they had one, then I don't think they would have done things this way.”

”Why not?” asked Stillman.

”I accept what you said: that the first thing they did was steal Werfel's ID in the airport. I believe that they knew about the insurance policy in some other way-maybe just by learning what they could about him before they started using the credit cards. But I don't think they brought in a ringer and fooled Ellen Snyder into thinking he was Alan Werfel. It's never felt right to me. It's too hard to do quickly, and when you send him into the office, too many things could go wrong.”

”That's right,” said Stillman. He spoke gently. ”That's the unpleasant part of this. It works best if somebody on the inside is handling everything, making sure nothing does go wrong.”

”Ellen didn't do it,” Walker insisted. ”This could have been done a lot of other ways.”

Stillman sighed. ”You can't catch a thief by figuring out all the things he could have done. You have to think of things from his point of view. What did he want to have happen, and what did he think he needed to do to make it happen? The point is, the thief can't know what all the obstacles are going to be when he starts this. Only an insider knows. As soon as I heard a rough description of this, I started looking for somebody like her.”

”But you didn't know her, and that's why this never made sense to me. Ellen Snyder wasn't in on it. She didn't want a quick million, she wanted a career. And if they really had found a guy who could convince a stranger he was Alan Werfel, they wouldn't have needed to pay Ellen. And if they could pay her, they wouldn't have needed to kill her.”

”You think her only purpose was to take the blame.”

”That's right.”

”Because she's dead?”

”Not just dead, but dead that way, out here in the middle of nowhere, so it looked as though she got away with the money and disappeared. They couldn't just fax in a copy of Werfel's stolen driver's license and expect to get a check for twelve million in the mail. They needed the paperwork to come to the main office filled out by a real McClaren's agent who seemed to have seen the guy in person and gotten him to sign the affidavit and release forms.”

”You think she didn't fill out the papers?” asked Stillman.

┌──
5
Lattice="4.990 0.000 0.000 0.000 4.990 0.000 0.000 0.000 5.337" Properties=species:S:1:pos:R:3 comment="GGA-PBEsol ScAsRuBr2, optimized geometry" magmom_total_mub_per_atom=0.7079 formation_energy_uncorrected_kj_per_mol_atoms=46.4 sg="P4/mmm, No. 123" dos_ef_per_ev_atom=1.06 pbc="T T T"
Sc 0.000 0.000 0.000
As 0.000 0.000 2.669
Ru 2.495 2.495 2.669
Br 0.000 2.495 0.000
Br 2.495 0.000 0.000

=====

NaSnPbBr5 | PBE | optimized geometry

Structure (POSCAR):
```
NaSnPbBr5
1.0
8.147 -0.071 -0.203
-2.446 7.772 -0.203
-2.606 -3.520 9.731
Na Sn Pb Br
2 2 2 10
Direct
0.677 0.323 0.250
0.323 0.677 0.750
0.000 0.000 0.500
0.000 0.000 0.000
0.361 0.639 0.250
0.639 0.361 0.750
0.115 0.885 0.250
0.885 0.115 0.750
0.971 0.344 0.161
0.029 0.656 0.839
0.656 0.029 0.339
0.344 0.971 0.661
0.693 0.634 0.453
0.307 0.366 0.547
0.366 0.307 0.047
0.634 0.693 0.953
```

Results
Uncorrected formation energy   -932 meV per atom
M_tot   0.00 μB per formula unit
└──

”I don't know if she did or not. I just know she didn't intend to partic.i.p.ate in any fraud. If the fake Alan Werfel called her in advance and said, 'I'm coming in on Tuesday to sign the papers,' then she would probably have filled them out on Monday. She would never let a man like that sit in the office waiting while she was at a typewriter putting stuff into blanks on a form. Don't you see? He fits the profile of the kind of customer she was after. She described him to me the night I took her out to dinner.”